**Activity:**
It remains to type out the lines further down from the one with "abc: 4.6386" to the one with "relaxed Li3In2Pt3" with every line break kept.

**Given:**
+++
(1)
Computed, not measured: a relaxed LiIn5Pt crystal at the PBE-GGA level of DFT.

The calculation puts the spin magnetization at 0.00 μB per formula unit. As for the formation energy: -1.9 eV/f.u. The symmetry is P4/mmm (123).

abc: 4.6386 4.6386 7.5477
angles: 90.00 90.00 90.00
Closest atoms and distances in Å follow each position.
Positions (direct):
In  0.0000  0.5000  0.2884  2 Pt 2.82
In  0.5000  0.0000  0.7116  2 Pt 2.82
Pt  0.0000  0.0000  0.5000  8 In 2.82
In  0.5000  0.5000  0.0000  8 In 3.18, 4 Li 3.28
Li  0.0000  0.0000  0.0000  12 In 3.18-3.28
In  0.0000  0.5000  0.7116  2 Pt 2.82
In  0.5000  0.0000  0.2884  2 Pt 2.82


(2)
Computed, not measured: a relaxed Li8InPt2 crystal at the PBE-GGA level of DFT.

The calculation puts the spin magnetization at 0.00 μB per formula unit. As for the formation energy: -2.9 eV/f.u. The symmetry is C2/m (12).

abc: 4.7139 7.5044 6.9242
angles: 57.19 80.95 73.13
Closest atoms and distances in Å follow each position.
Positions (direct):
Pt  0.0000  0.6833  0.6334  8 Li 2.50-2.59
Li  0.0940  0.9344  0.7424  2 Pt 2.54-2.59, 1 Li 2.79
Pt  0.0000  0.3167  0.3666  8 Li 2.50-2.59
Li  0.5000  0.2462  0.5077  2 Pt 2.50
Li  0.9060  0.0656  0.2576  2 Pt 2.54-2.59, 1 Li 2.79
Li  0.9060  0.3232  0.7424  2 Pt 2.54-2.59, 1 Li 2.79
Li  0.2947  0.3935  0.0000  2 Pt 2.54, 2 Li 2.77-2.85, 1 In 2.83
Li  0.0940  0.6768  0.2576  2 Pt 2.54-2.59, 1 Li 2.79
Li  0.5000  0.7538  0.4923  2 Pt 2.50
Li  0.7053  0.6065  0.0000  2 Pt 2.54, 2 Li 2.77-2.85, 1 In 2.83
In  0.5000  0.0000  0.0000  12 Li 2.83-3.14


(3)
Computed, not measured: a relaxed Li8In6Pt crystal at the PBE-GGA level of DFT.

The calculation puts the spin magnetization at 0.00 μB per formula unit. As for the formation energy: -4.3 eV/f.u. The symmetry is R-3 (148).

abc: 7.5638 7.5638 7.3791
angles: 59.17 59.17 60.00
Closest atoms and distances in Å follow each position.
Positions (direct):
In  0.0344  0.2688  0.1451  5 Li 2.78-3.05, 1 Pt 2.90, 1 In 2.96
Li  0.1289  0.8239  0.3777  3 In 2.78-2.88, 1 Pt 2.86, 3 Li 2.87-3.06
In  0.7312  0.4482  0.8549  5 Li 2.78-3.05, 1 Pt 2.90, 1 In 2.96
In  0.2688  0.5518  0.1451  5 Li 2.78-3.05, 1 Pt 2.90, 1 In 2.96
Li  0.1761  0.3305  0.6223  3 In 2.78-2.88, 1 Pt 2.86, 3 Li 2.87-3.06
Pt  0.0000  0.0000  0.0000  6 Li 2.86, 6 In 2.90
Li  0.6695  0.1289  0.3777  3 In 2.78-2.88, 1 Pt 2.86, 3 Li 2.87-3.06
In  0.4482  0.9656  0.8549  5 Li 2.78-3.05, 1 Pt 2.90, 1 In 2.96
Li  0.4162  0.4162  0.7513  4 Li 2.87-2.99, 6 In 2.99-3.05
Li  0.8239  0.6695  0.3777  3 In 2.78-2.88, 1 Pt 2.86, 3 Li 2.87-3.06
In  0.9656  0.7312  0.8549  5 Li 2.78-3.05, 1 Pt 2.90, 1 In 2.96
Li  0.8711  0.1761  0.6223  3 In 2.78-2.88, 1 Pt 2.86, 3 Li 2.87-3.06
In  0.5518  0.0344  0.1451  5 Li 2.78-3.05, 1 Pt 2.90, 1 In 2.96
Li  0.3305  0.8711  0.6223  3 In 2.78-2.88, 1 Pt 2.86, 3 Li 2.87-3.06
Li  0.5838  0.5838  0.2487  4 Li 2.87-2.99, 6 In 2.99-3.05


(4)
Computed, not measured: a relaxed LiInPt3 crystal at the PBE-GGA level of DFT.

The calculation puts the spin magnetization at 0.00 μB per formula unit. As for the formation energy: 3.6 eV/f.u. The symmetry is Pm-3m (221).

abc: 4.9987 4.9987 4.9987
angles: 90.00 90.00 90.00
Closest atoms and distances in Å follow each position.
Positions (direct):
Pt  0.0000  0.0000  0.5000  2 In 2.50
Pt  0.0000  0.5000  0.0000  2 In 2.50
Pt  0.5000  0.0000  0.0000  2 In 2.50
Li  0.5000  0.5000  0.5000  12 Pt 3.53
In  0.0000  0.0000  0.0000  6 Pt 2.50


(5)
Computed, not measured: a relaxed Li3In2Pt3 crystal at the PBE-GGA level of DFT.

The calculation puts the spin magnetization at 0.00 μB per formula unit. As for the formation energy: -4.6 eV/f.u. The symmetry is Pmmm (47).

abc: 4.1376 4.0375 7.7116
angles: 90.00 90.00 90.00
Closest atoms and distances in Å follow each position.
Positions (direct):
Pt  0.0000  0.5000  0.5000  4 Li 2.73, 4 In 2.79, 4 Pt 2.89
In  0.0000  0.0000  0.7489  6 Pt 2.79-2.82, 6 Li 2.83-2.89
Pt  0.0000  0.5000  0.0000  4 In 2.80, 8 Li 2.89-2.93
+++

**Here it is:**
abc: 4.6386 4.6386 7.5477
angles: 90.00 90.00 90.00
Closest atoms and distances in Å follow each position.
Positions (direct):
In  0.0000  0.5000  0.2884  2 Pt 2.82
In  0.5000  0.0000  0.7116  2 Pt 2.82
Pt  0.0000  0.0000  0.5000  8 In 2.82
In  0.5000  0.5000  0.0000  8 In 3.18, 4 Li 3.28
Li  0.0000  0.0000  0.0000  12 In 3.18-3.28
In  0.0000  0.5000  0.7116  2 Pt 2.82
In  0.5000  0.0000  0.2884  2 Pt 2.82


(2)
Computed, not measured: a relaxed Li8InPt2 crystal at the PBE-GGA level of DFT.

The calculation puts the spin magnetization at 0.00 μB per formula unit. As for the formation energy: -2.9 eV/f.u. The symmetry is C2/m (12).

abc: 4.7139 7.5044 6.9242
angles: 57.19 80.95 73.13
Closest atoms and distances in Å follow each position.
Positions (direct):
Pt  0.0000  0.6833  0.6334  8 Li 2.50-2.59
Li  0.0940  0.9344  0.7424  2 Pt 2.54-2.59, 1 Li 2.79
Pt  0.0000  0.3167  0.3666  8 Li 2.50-2.59
Li  0.5000  0.2462  0.5077  2 Pt 2.50
Li  0.9060  0.0656  0.2576  2 Pt 2.54-2.59, 1 Li 2.79
Li  0.9060  0.3232  0.7424  2 Pt 2.54-2.59, 1 Li 2.79
Li  0.2947  0.3935  0.0000  2 Pt 2.54, 2 Li 2.77-2.85, 1 In 2.83
Li  0.0940  0.6768  0.2576  2 Pt 2.54-2.59, 1 Li 2.79
Li  0.5000  0.7538  0.4923  2 Pt 2.50
Li  0.7053  0.6065  0.0000  2 Pt 2.54, 2 Li 2.77-2.85, 1 In 2.83
In  0.5000  0.0000  0.0000  12 Li 2.83-3.14


(3)
Computed, not measured: a relaxed Li8In6Pt crystal at the PBE-GGA level of DFT.

The calculation puts the spin magnetization at 0.00 μB per formula unit. As for the formation energy: -4.3 eV/f.u. The symmetry is R-3 (148).

abc: 7.5638 7.5638 7.3791
angles: 59.17 59.17 60.00
Closest atoms and distances in Å follow each position.
Positions (direct):
In  0.0344  0.2688  0.1451  5 Li 2.78-3.05, 1 Pt 2.90, 1 In 2.96
Li  0.1289  0.8239  0.3777  3 In 2.78-2.88, 1 Pt 2.86, 3 Li 2.87-3.06
In  0.7312  0.4482  0.8549  5 Li 2.78-3.05, 1 Pt 2.90, 1 In 2.96
In  0.2688  0.5518  0.1451  5 Li 2.78-3.05, 1 Pt 2.90, 1 In 2.96
Li  0.1761  0.3305  0.6223  3 In 2.78-2.88, 1 Pt 2.86, 3 Li 2.87-3.06
Pt  0.0000  0.0000  0.0000  6 Li 2.86, 6 In 2.90
Li  0.6695  0.1289  0.3777  3 In 2.78-2.88, 1 Pt 2.86, 3 Li 2.87-3.06
In  0.4482  0.9656  0.8549  5 Li 2.78-3.05, 1 Pt 2.90, 1 In 2.96
Li  0.4162  0.4162  0.7513  4 Li 2.87-2.99, 6 In 2.99-3.05
Li  0.8239  0.6695  0.3777  3 In 2.78-2.88, 1 Pt 2.86, 3 Li 2.87-3.06
In  0.9656  0.7312  0.8549  5 Li 2.78-3.05, 1 Pt 2.90, 1 In 2.96
Li  0.8711  0.1761  0.6223  3 In 2.78-2.88, 1 Pt 2.86, 3 Li 2.87-3.06
In  0.5518  0.0344  0.1451  5 Li 2.78-3.05, 1 Pt 2.90, 1 In 2.96
Li  0.3305  0.8711  0.6223  3 In 2.78-2.88, 1 Pt 2.86, 3 Li 2.87-3.06
Li  0.5838  0.5838  0.2487  4 Li 2.87-2.99, 6 In 2.99-3.05


(4)
Computed, not measured: a relaxed LiInPt3 crystal at the PBE-GGA level of DFT.

The calculation puts the spin magnetization at 0.00 μB per formula unit. As for the formation energy: 3.6 eV/f.u. The symmetry is Pm-3m (221).

abc: 4.9987 4.9987 4.9987
angles: 90.00 90.00 90.00
Closest atoms and distances in Å follow each position.
Positions (direct):
Pt  0.0000  0.0000  0.5000  2 In 2.50
Pt  0.0000  0.5000  0.0000  2 In 2.50
Pt  0.5000  0.0000  0.0000  2 In 2.50
Li  0.5000  0.5000  0.5000  12 Pt 3.53
In  0.0000  0.0000  0.0000  6 Pt 2.50


(5)
Computed, not measured: a relaxed Li3In2Pt3 crystal at the PBE-GGA level of DFT.